Listing:
- - -
10
Properties=species:S:1:pos:R:3:lowdin_charge:R:1 method="wB97M-V/def2-TZVPD" de_lowest_ev=3.410 total_charge=-1 homo_lumo_gap_ev=7.4 e_homo_ev=-4.2 total_energy_ha=-739.9499 multiplicity=1
O 0.11 -0.04 -0.30 -0.116
S 2.64 -0.90 0.63 0.644
H 1.85 -0.45 -1.32 -0.093
C -0.98 0.50 -0.29 -0.179
H 2.86 0.00 1.58 -0.169
O -3.09 -0.82 -0.62 -0.034
H -1.08 1.62 -0.49 0.139
C -2.25 -0.19 0.07 -0.697
C 2.10 0.16 -0.53 -0.488
O -2.16 0.12 1.27 -0.007

----------

Formula: C2H5Cl2N
Source: the OMol25 dataset
Level of theory: ωB97M-V/def2-TZVPD

The geometry in ORCA input format:
```
! RIJCOSX wB97M-V def2-TZVPD def2/J DEFGRID3
* xyz 0 1
C -0.59 -0.25 -1.05
C 1.98 -0.02 0.21
N 1.59 0.16 1.54
Cl 2.72 -1.54 -0.09
Cl 2.76 1.34 -0.49
H -0.18 -0.54 -1.99
H -1.01 -1.00 -0.42
H -0.84 0.78 -0.89
H 1.14 1.04 1.72
H 1.10 -0.63 1.93
*
```

## Properties
LUMO level (spin up / spin down) ... 0.4 / 0.3 eV
E_tot ... -1054.2192 Ha
HOMO-LUMO gap (spin up / spin down) ... 0.33007 / 0.28816 hartree
Energy relative to the best compared isomer or geometry (same formula, charge and spin) ... 71.4 kcal/mol
- - -

To do:
Type out everything further up word for word.

Solution:
10
Properties=species:S:1:pos:R:3:lowdin_charge:R:1 method="wB97M-V/def2-TZVPD" de_lowest_ev=3.410 total_charge=-1 homo_lumo_gap_ev=7.4 e_homo_ev=-4.2 total_energy_ha=-739.9499 multiplicity=1
O 0.11 -0.04 -0.30 -0.116
S 2.64 -0.90 0.63 0.644
H 1.85 -0.45 -1.32 -0.093
C -0.98 0.50 -0.29 -0.179
H 2.86 0.00 1.58 -0.169
O -3.09 -0.82 -0.62 -0.034
H -1.08 1.62 -0.49 0.139
C -2.25 -0.19 0.07 -0.697
C 2.10 0.16 -0.53 -0.488
O -2.16 0.12 1.27 -0.007

----------

Formula: C2H5Cl2N
Source: the OMol25 dataset
Level of theory: ωB97M-V/def2-TZVPD

The geometry in ORCA input format:
```
! RIJCOSX wB97M-V def2-TZVPD def2/J DEFGRID3
* xyz 0 1
C -0.59 -0.25 -1.05
C 1.98 -0.02 0.21
N 1.59 0.16 1.54
Cl 2.72 -1.54 -0.09
Cl 2.76 1.34 -0.49
H -0.18 -0.54 -1.99
H -1.01 -1.00 -0.42
H -0.84 0.78 -0.89
H 1.14 1.04 1.72
H 1.10 -0.63 1.93
*
```

## Properties
LUMO level (spin up / spin down) ... 0.4 / 0.3 eV
E_tot ... -1054.2192 Ha
HOMO-LUMO gap (spin up / spin down) ... 0.33007 / 0.28816 hartree
Energy relative to the best compared isomer or geometry (same formula, charge and spin) ... 71.4 kcal/mol